Job
Your job: search the block further down for the word "distinct" and restate each line that has it.
Listing
~~~
# LaTmS2

Crystalline LaTmS2 at its relaxed geometry (r2SCAN, Materials Project).

The total magnetic moment comes out at 0.0 μB/cell. The calculation puts the formation energy at -9.27 eV/f.u.

The structure belongs to space group R-3m (No. 166, hexagonal axes); the cell edges are 3.9302, 3.9302 and 20.1881 Å and the angles 90.00°, 90.00° and 120.00°. The distinct sites, in fractional coordinates, are La at (0.0000, 0.0000, 0.0000), Tm at (0.0000, 0.0000, 0.5000) and S at (0.0000, 0.0000, 0.2403).
~~~
Done
The structure belongs to space group R-3m (No. 166, hexagonal axes); the cell edges are 3.9302, 3.9302 and 20.1881 Å and the angles 90.00°, 90.00° and 120.00°. The distinct sites, in fractional coordinates, are La at (0.0000, 0.0000, 0.0000), Tm at (0.0000, 0.0000, 0.5000) and S at (0.0000, 0.0000, 0.2403).